Written by: Greg Ellifritz
I originally wrote this piece in June of 2016 after seeing some horribly contentious gun control debates on my Facebook feed. Guess what I’m seeing now? You’re right. The very same political virtue signalling. The article is as useful today as it was two years ago when I first wrote it. For that reason, I’m reposting it now.
Do yourselves a favor and read it. You just might change your attitude and collaborate with the “enemy” to provide a solution that will stop these horrific attacks.
Last week, I grew tired of all the political rhetoric being tossed about on my Facebook page. I wrote the status update listed below. Many people wrote and asked me to share those words on my website so the people without Facebook accounts can read it. This is what I wrote:
I’m fortunate to have lots of friends who are all over the political spectrum. My facebook feed is definitely not an echo chamber like some others are. Because I have friends with various political leanings, I’m seeing both sides of the gun control debate. And both sides are getting nasty. That isn’t going to solve any problems.
For my right wing friends, the guy advocating for more gun control is not your enemy. He just doesn’t want his loved ones gunned down.
For my left wing friends, likewise the dude posting all the gun rights memes isn’t your enemy either. He also doesn’t want his family killed. He thinks the best way to prevent that is to take an active role in protecting them.
Neither side wants to see more people slaughtered. Neither side wants to feel the pain of a loved one killed. Neither side wants criminals, terrorists, or crazy people to have free access to weapons (of any type). Stop sniping at each other. In reality you all have much more in common than you might think.
Both sides of the debate are coming from the same place…the desire to stop the killing of innocent people. Recognize that and work with it. My guess is that you will find more similarity than difference between you and your “enemy” on the other side of the political aisle.
Name calling and derision are not successful strategies to get things done. Let’s start working together to find a way to keep guns out of the hands of the criminals and terrorists. Let’s find a way to get the mentally ill the help that they need. And let’s do it is such a manner that it doesn’t infringe on the rights of your law-abiding peaceful neighbor (who would never commit such an atrocity) at the same time.
You all are smart people. You can do this. Stop attacking each other.
Who would have thought those words could be so controversial? The post was “liked” 1100 times and shared more than 700 times. Despite it’s popularity, I got more hate mail from it than anything else I have ever written. People were absolutely incensed that I would suggest that we could do something to slow the tide of murderous rampages. It was baffling to me. After all the hate mail, I wrote this followup:
“So I wrote a piece earlier today about how pro-gun folks and anti-gun folks need to focus on areas of common agreement and not act so derisively towards each other. It was spread widely. I thank you all for that.
I’m happy to report than none of my liberal or gun-hating friends had anything bad to say (or if they did, they chose to keep it to themselves.) My conservative, gun-owning friends were an entirely different story.
I blocked 14 (now up to 19 as of today) people from my page today. All were conservative gun owners. All of them either wrote snide comments about liberals or engaged in straw man arguments about my wanting to take away people’s rights or “compromise” with the anti-gunners. That’s very disappointing for me.
If one looks at my original post, I made no mention of anyone having his rights infringed. I made no mention of any type of “compromise.” I truly believe that we can create a win/win solution on this issue without either side “compromising.” And I am firmly against the loss of any rights guaranteed by the Constitution.
Yet some of my gun-owning friends couldn’t be bothered with actually reading what I wrote before writing their own critiques or insults. That’s the problem with the status of the “debate” on this issue. As I said, disappointing.
An even greater disappointment was the fact that many of my gun-owning friends “liked” the post, only to continue the name calling I railed against in their own posts later today. More disappointment.”
Folks, let’s talk a bit about your “enemies.” Yes, I most certainly understand that there are plenty of government officials who want to take all of our guns away as a means of political control. By all means, demonize those people.
I don’t think those folks make up the majority of people calling for more gun control. The majority of the calls for more gun control come from people who don’t understand the historic elements of gun control laws and how they’ve been used to enslave certain races or “undesirable” members of the population throughout history. The people calling for more gun control generally don’t understand guns and don’t have the desire to learn about them. They are scared at the thought of using guns themselves and thus they don’t want others using them either.
(Crystal structures, as found in the file)
********
Simulated powder XRD pattern of Nd2PPt6 for Cu Kα, 1.54184 Å, from a GGA-PBE-relaxed structure.

Peak list (10 most intense, 10 to 90 degrees two-theta, low angle first)
2.961 Å, I = 47; 2.409 Å, I = 14; 2.396 Å, I = 52; 2.373 Å, I = 100; 2.176 Å, I = 69; 2.126 Å, I = 31; 1.914 Å, I = 12; 1.430 Å, I = 12; 1.425 Å, I = 24; 1.228 Å, I = 13

Structural model:
```
Nd2PPt6
1.0
4.934 -2.859 0.000
4.934 2.859 0.000
-1.448 0.000 5.922
Nd P Pt
2 1 6
Direct
0.140 0.140 0.348
0.860 0.860 0.652
0.500 0.500 0.500
0.113 0.617 0.193
0.378 0.378 0.794
0.383 0.887 0.807
0.617 0.113 0.193
0.622 0.622 0.206
0.887 0.383 0.807
```


Simulated powder XRD pattern of Nd2P4Pt3Rh for Cu Kα, 1.54184 Å, from a GGA-PBE-relaxed structure.

Peak list (10 most intense, 10 to 90 degrees two-theta, low angle first)
3.194 Å, I = 34; 3.029 Å, I = 14; 2.889 Å, I = 41; 2.561 Å, I = 100; 2.142 Å, I = 45; 1.879 Å, I = 14; 1.779 Å, I = 18; 1.643 Å, I = 27; 1.515 Å, I = 15; 1.304 Å, I = 18

Structural model:
```
Nd2P4Pt3Rh
1.0
4.284 0.000 0.000
0.000 4.284 0.000
0.000 0.000 9.582
Nd P Pt Rh
2 4 3 1
Direct
0.000 0.500 0.247
0.500 0.000 0.753
0.000 0.000 0.000
0.000 0.500 0.631
0.500 0.000 0.369
0.500 0.500 0.000
0.000 0.500 0.882
0.500 0.000 0.118
********
Those people aren’t your “enemies.” Those are people who don’t fully understand the issues involved and who are acting out of emotion. We can educate good people who are ignorant about the issues, but we can’t do that if we consider them “enemies.” Enemies are people who want to hurt or kill you. Enemies are not your neighbors, your co-workers, and your child’s teacher who might have different opinions about guns. Don’t be ridiculous. Do you want to further alienate the gun culture from those people who don’t understand it? If so, keep demonizing that group of generally well-meaning citizens who take a view of guns that is slightly different from yours.
When you consider good people your “enemies” because they view gun control with a different lens, then you are merely perpetuating the myth of the ignorant gun owner. Stop it. And stop sending me hate mail because I choose to be friends with some good people who just don’t like guns.
Seth Godin says it best in this quote below:
“It’s no longer possible to become important to everyone, not in a reliable, scalable way, not in a way that connects us to people who will read ads or take action, not to people who aren’t already clicking away to the next thing by the time they get to the second or third sentence.
But it is possible to become important to a very-small everyone, to a connected tribe that cares about this voice or that story or this particular point of view. It’s still possible to become meaningful, meaningful if you don’t get short-term greedy about any particular moment of mass, betting on the long run instead. And we need institutions that can reach many of these tribes, that can bind together focused audiences and useful content creators.”
I guess that I have to understand that I won’t be an important resource for those who consider gun control advocates their “enemies.” I’m OK with that. I’ll choose to define my “tribe” as people who are capable of doing good in the world. People who are clear thinkers, regardless of political affiliation. People who respect the information I provide and try to use it to create a better future for their families.
I really don’t care about your political party, whether you are gay or straight, or whether you are a fundamentalist Christian or a strict atheist. I don’t care if you think people should have “assault weapons” or not. If you want to make the world a better place and keep yourselves and your loved ones safe, you are welcome in any of my classes.